# Material
-- begin --
[1]
Below is Dy2MnMoN5 after structural relaxation, with properties calculated at the PBE level.

a b c (Å): 7.0026 7.0026 9.7654
angles (deg): 90.00 90.00 153.66
With the nearest neighbours (Å) after each atom.
Fractional positions:
Dy 0.1203 0.8797 0.5000  8 N 2.45-2.59
Dy 0.1299 0.8701 0.1306  7 N 2.41-2.61
Dy 0.8701 0.1299 0.6306  7 N 2.41-2.61
Dy 0.8797 0.1203 0.0000  8 N 2.45-2.59
Mn 0.4478 0.5522 0.2588  4 N 1.75-1.93
Mn 0.5522 0.4478 0.7588  4 N 1.75-1.93
Mo 0.2030 0.7970 0.8296  3 N 1.90-2.12
Mo 0.7970 0.2030 0.3296  3 N 1.90-2.12
N 0.0308 0.9692 0.8386  2 Mn 1.80
N 0.3009 0.6991 0.4723  2 Mo 2.12
N 0.3181 0.6819 0.1802  1 Mn 1.93
N 0.3417 0.6583 0.8168  1 Mo 1.90
N 0.4986 0.5014 0.0941  1 Mn 1.75
N 0.5014 0.4986 0.5941  1 Mn 1.75
N 0.6583 0.3417 0.3168  1 Mo 1.90
N 0.6819 0.3181 0.6802  1 Mn 1.93
N 0.6991 0.3009 0.9723  2 Mo 2.12
N 0.9692 0.0308 0.3386  2 Mn 1.80

Results
- volume (Å³/cell) = 212.5
- DOS at the Fermi energy (states/eV per atom) = 0.363
- mass density (kg/m³) = 8534
- crystal system = orthorhombic
- ΔE_f (raw) (eV/atom) = -0.863

[2]
Below is LaZn2FeH8 after structural relaxation, with properties calculated at the PBE level.

a b c (Å): 4.3904 4.8595 5.0023
angles (deg): 98.37 91.34 91.33
With the nearest neighbours (Å) after each atom.
Fractional positions:
La 0.0000 0.0000 0.0000  10 H 2.39-2.62
Zn 0.4911 0.3857 0.7208  2 H 1.66-1.81
Zn 0.5089 0.6143 0.2792  2 H 1.66-1.81
Fe 0.0000 0.5000 0.5000  6 H 1.58-1.61
H 0.1165 0.5037 0.1970  1 Fe 1.61
H 0.1424 0.2039 0.5034  1 Fe 1.58
H 0.2695 0.7018 0.6331  1 Fe 1.59
H 0.4999 0.0808 0.8331  1 Zn 1.66
H 0.5001 0.9192 0.1669  1 Zn 1.66
H 0.7305 0.2982 0.3669  1 Fe 1.59
H 0.8576 0.7961 0.4966  1 Fe 1.58
H 0.8835 0.4963 0.8030  1 Fe 1.61

Results
- volume (Å³/cell) = 105.5
- DOS at the Fermi energy (states/eV per atom) = 0.162
- mass density (kg/m³) = 5250
- crystal system = triclinic
- calculated total energy (eV per atom) = -3.7543

[3]
Below is La7Tb3Dy2 after structural relaxation, with properties calculated at the PBE level.

a b c (Å): 6.5484 3.5826 17.8337
angles (deg): 90.00 95.64 90.00
With the nearest neighbours (Å) after each atom.
Fractional positions:
La 0.0000 0.0000 0.0000  8 La 3.58-3.74, 4 Tb 3.73
La 0.2249 0.5000 0.1726  1 Dy 3.52, 8 La 3.58-3.74, 3 Tb 3.65-3.72
La 0.2616 0.5000 0.4908  2 La 3.11-3.47, 1 Dy 3.37
La 0.2759 0.0000 0.8318  7 La 3.58-3.74, 2 Dy 3.58, 3 Tb 3.63-3.67
La 0.7241 0.0000 0.1682  7 La 3.58-3.74, 2 Dy 3.58, 3 Tb 3.63-3.67
La 0.7384 0.5000 0.5092  2 La 3.11-3.47, 1 Dy 3.37
La 0.7751 0.5000 0.8274  1 Dy 3.52, 8 La 3.58-3.74, 3 Tb 3.65-3.72
Tb 0.4571 0.0000 0.3375  2 Tb 3.58, 7 La 3.61-3.86, 4 Dy 3.66-3.81
Tb 0.5000 0.5000 0.0000  2 Tb 3.58, 10 La 3.67-3.73
Tb 0.5429 0.0000 0.6625  2 Tb 3.58, 7 La 3.61-3.86, 4 Dy 3.66-3.81
Dy 0.0577 0.5000 0.6693  5 La 3.37-3.58, 2 Dy 3.58, 2 Tb 3.66
Dy 0.9423 0.5000 0.3307  5 La 3.37-3.58, 2 Dy 3.58, 2 Tb 3.66

Results
- volume (Å³/cell) = 416.4
- DOS at the Fermi energy (states/eV per atom) = 1.430
- mass density (kg/m³) = 7076
- crystal system = monoclinic
- calculated total energy (eV per atom) = -4.7333

[4]
Below is KY2Cu after structural relaxation, with properties calculated at the PBE level.

a b c (Å): 6.3644 6.3644 6.3644
angles (deg): 137.65 137.65 61.44
With the nearest neighbours (Å) after each atom.
Fractional positions:
K 0.0000 0.0000 0.0000  8 Y 3.25-3.57, 4 Cu 3.57
Y 0.2500 0.7500 0.5000  4 Cu 3.25, 4 K 3.57, 4 Y 3.57
Y 0.5000 0.5000 0.0000  4 K 3.25, 4 Cu 3.57, 4 Y 3.57
Cu 0.7500 0.2500 0.5000  8 Y 3.25-3.57, 4 K 3.57

Results
- volume (Å³/cell) = 115.7
- DOS at the Fermi energy (states/eV per atom) = 1.206
- mass density (kg/m³) = 4026
- crystal system = tetragonal
- ΔE to the lowest computed polymorph (meV/atom) = 500

----------

This record from Alexandria describes crystalline CrFePd at its relaxed geometry. The functional is PBE-GGA.

Cell: 5.718 5.718 5.718 Å, 152.51 152.51 39.27°
Sites, in units of the cell vectors:
Cr (0.000, 0.000, 0.000)
-- stop --

# Activity
The reader should transcribe the lines further above from the one with "153.66" to the one with "105.5" without altering anything.

# Completed
angles (deg): 90.00 90.00 153.66
With the nearest neighbours (Å) after each atom.
Fractional positions:
Dy 0.1203 0.8797 0.5000  8 N 2.45-2.59
Dy 0.1299 0.8701 0.1306  7 N 2.41-2.61
Dy 0.8701 0.1299 0.6306  7 N 2.41-2.61
Dy 0.8797 0.1203 0.0000  8 N 2.45-2.59
Mn 0.4478 0.5522 0.2588  4 N 1.75-1.93
Mn 0.5522 0.4478 0.7588  4 N 1.75-1.93
Mo 0.2030 0.7970 0.8296  3 N 1.90-2.12
Mo 0.7970 0.2030 0.3296  3 N 1.90-2.12
N 0.0308 0.9692 0.8386  2 Mn 1.80
N 0.3009 0.6991 0.4723  2 Mo 2.12
N 0.3181 0.6819 0.1802  1 Mn 1.93
N 0.3417 0.6583 0.8168  1 Mo 1.90
N 0.4986 0.5014 0.0941  1 Mn 1.75
N 0.5014 0.4986 0.5941  1 Mn 1.75
N 0.6583 0.3417 0.3168  1 Mo 1.90
N 0.6819 0.3181 0.6802  1 Mn 1.93
N 0.6991 0.3009 0.9723  2 Mo 2.12
N 0.9692 0.0308 0.3386  2 Mn 1.80

Results
- volume (Å³/cell) = 212.5
- DOS at the Fermi energy (states/eV per atom) = 0.363
- mass density (kg/m³) = 8534
- crystal system = orthorhombic
- ΔE_f (raw) (eV/atom) = -0.863

[2]
Below is LaZn2FeH8 after structural relaxation, with properties calculated at the PBE level.

a b c (Å): 4.3904 4.8595 5.0023
angles (deg): 98.37 91.34 91.33
With the nearest neighbours (Å) after each atom.
Fractional positions:
La 0.0000 0.0000 0.0000  10 H 2.39-2.62
Zn 0.4911 0.3857 0.7208  2 H 1.66-1.81
Zn 0.5089 0.6143 0.2792  2 H 1.66-1.81
Fe 0.0000 0.5000 0.5000  6 H 1.58-1.61
H 0.1165 0.5037 0.1970  1 Fe 1.61
H 0.1424 0.2039 0.5034  1 Fe 1.58
H 0.2695 0.7018 0.6331  1 Fe 1.59
H 0.4999 0.0808 0.8331  1 Zn 1.66
H 0.5001 0.9192 0.1669  1 Zn 1.66
H 0.7305 0.2982 0.3669  1 Fe 1.59
H 0.8576 0.7961 0.4966  1 Fe 1.58
H 0.8835 0.4963 0.8030  1 Fe 1.61

Results
- volume (Å³/cell) = 105.5